How to welcome people with disabilities
The church should be a place where people with disabilities and their families feel welcomed and accepted

There are 7.41 million people registered with some sort of disability in Japan—roughly 6% of the population.1 But how many do you see on a daily basis?
When I first came to Japan with OMF, I was under the impression that the disabled were hidden away by their families because of shame. After I arrived, though, I started to feel this was a misjudgment and it wasn’t that bad . . . until recently.
After a tragic attack that took the lives of 19 people at a care facility for the disabled in Sagamihara (July 2016), there was uproar in the disabled community because the names and faces of the victims were not released—mostly at the request of families because they didn’t want others to know about their disabled relatives. While this is an extreme case, people with disabilities and their families face many challenges in Japanese society, just like everywhere else in the world.
Those with a disability that requires care at a facility often have to live apart from their families. Since there are not enough facilities, families go on a waiting list and jump at the first opportunity they get, even if it means that their family member has to go to a different prefecture.
Those who are more independent also face challenges. Some have trouble finding a job, while those who get a job often find it unfulfilling as many companies hire disabled people (because they are obliged by legislation to employ a certain number of people with physical or intellectual disabilities2), but give them inconsequential work. Going out with friends can be frustrating since many cafés and restaurants are not accessible, and the person with a disability may feel awful that they’ve ruined a night out with friends when the restaurant everyone wants to go to turns out to be inaccessible.
I deliberately paint a bleak picture because it is an opportunity for the church to be an open door and a family to those in need. But it does require deliberate action by all of us.
# These records of crystals were left in the text by mistake
┌──
Starting from a structure optimized by DFT (PBE+U), the powder XRD pattern of BaV2P2H8O14 was simulated for λ = 1.5418 Å (Cu Kα).

Structural model:
```
data_BaV2P2H8O14
_symmetry_space_group_name_H-M 'P 1 c 1'
_symmetry_Int_Tables_number 7
_symmetry_space_group_name_Hall 'P -2yc'
_cell_length_a 6.5814
_cell_length_b 14.0135
_cell_length_c 9.6606
_cell_angle_alpha 90.00
_cell_angle_beta 132.76
_cell_angle_gamma 90.00
loop_
_atom_site_label
_atom_site_type_symbol
_atom_site_fract_x
_atom_site_fract_y
_atom_site_fract_z
_atom_site_occupancy
Ba1 Ba 0.0000 0.2132 0.0000 1
V1 V 0.6673 0.4991 0.2698 1
V2 V 0.8096 0.0553 0.6080 1
P1 P 0.2286 0.4638 0.3253 1
P2 P 0.3699 0.0082 0.1486 1
H1 H 0.0473 0.4153 0.5713 1
H2 H 0.2861 0.1962 0.5524 1
H3 H 0.3214 0.1007 0.7852 1
H4 H 0.3449 0.3126 0.4559 1
H5 H 0.5752 0.2085 0.5979 1
H6 H 0.7379 0.1497 0.1628 1
H7 H 0.7446 0.2008 0.3100 1
H8 H 0.7745 0.3550 0.4979 1
O1 O 0.1656 0.0535 0.9554 1
O2 O 0.1968 0.0759 0.6549 1
O3 O 0.2911 0.4928 0.7107 1
O4 O 0.3270 0.3562 0.3568 1
O5 O 0.4009 0.4795 0.0095 1
O6 O 0.4258 0.2428 0.5899 1
O7 O 0.4871 0.0772 0.3128 1
O8 O 0.5924 0.0503 0.6797 1
O9 O 0.6959 0.2117 0.1911 1
O10 O 0.7824 0.3942 0.8607 1
O11 O 0.8333 0.0686 0.0846 1
O12 O 0.8471 0.1812 0.6523 1
O13 O 0.8587 0.3880 0.4579 1
O14 O 0.9250 0.4688 0.2269 1
```

Top 10 peaks for 10 to 80 degrees two-theta, sorted by position:
| 2θ/deg | intensity |
| --- | --- |
| 12.6 | 39 |
| 14.0 | 30 |
| 14.9 | 100 |
| 18.4 | 34 |
| 22.4 | 47 |
| 25.9 | 44 |
| 27.8 | 37 |
| 28.2 | 38 |
| 29.3 | 31 |
| 30.6 | 31 |

=====

Starting from a structure optimized by DFT (PBE+U), the powder XRD pattern of BaV2H2Se4O14 was simulated for λ = 1.5418 Å (Cu Kα).

Structural model:
```
data_BaV2H2Se4O14
_symmetry_space_group_name_H-M 'P 1 21/c 1'
_symmetry_Int_Tables_number 14
_symmetry_space_group_name_Hall '-P 2ybc'
_cell_length_a 9.8879
_cell_length_b 7.2061
_cell_length_c 10.0129
_cell_angle_alpha 90.00
_cell_angle_beta 116.53
_cell_angle_gamma 90.00
loop_
_atom_site_label
_atom_site_type_symbol
_atom_site_fract_x
_atom_site_fract_y
_atom_site_fract_z
_atom_site_occupancy
Ba1 Ba 0.0000 0.0000 0.0000 1
V1 V 0.2055 0.0260 0.4453 1
H1 H 0.3691 0.0687 0.0545 1
Se1 Se 0.1848 0.0052 0.7511 1
Se2 Se 0.4446 0.0739 0.3112 1
O1 O 0.0040 0.5660 0.2186 1
O2 O 0.1521 0.1527 0.6012 1
O3 O 0.1957 0.6896 0.9962 1
O4 O 0.2227 0.1539 0.8997 1
O5 O 0.2712 0.5201 0.7824 1
O6 O 0.4267 0.0902 0.5807 1
O7 O 0.4460 0.5029 0.6428 1
```

Top 10 peaks for 10 to 80 degrees two-theta, sorted by position:
| 2θ/deg | intensity |
| --- | --- |
| 15.8 | 15 |
| 21.0 | 38 |
| 24.7 | 100 |
| 26.0 | 22 |
| 27.8 | 16 |
| 29.0 | 67 |
| 30.0 | 59 |
| 30.3 | 95 |
| 37.5 | 17 |
| 46.7 | 16 |

~~~~~

# KMg6Tl4
Simulated X-ray diffraction stick pattern, CuKα. Input: the GGA-PBE geometry in Alexandria.

Crystal structure
```
data_KMg6Tl4
_space_group_name_H-M_alt 'P -6 m 2'
_space_group_IT_number 187
_space_group_name_Hall 'P -6 2'
_cell_length_a 8.6261
_cell_length_b 8.6261
└──
# Back to the text
Be there for them
Sometimes people just need to know that someone hears them. As humans, we love to fix problems and offer solutions—but this can be dangerous. Often people with disabilities feel like no one really understands them, and if someone says “I know how you feel; I broke my toe once,” it can just reaffirm that feeling. Or when people make a big deal out of how “inspiring” people with disabilities are, it can feel awkward. Instead, show that you care about the person as you do any other person. I still remember a time over 20 years ago when I was going somewhere with a friend and he started to take the stairs but said, “Right, I forgot you were in a wheelchair”. He saw me for me, not my disability.
Be there for families as well. A child with a disability can mean a mountain of extra responsibilities that other families don’t experience—numerous appointments clog the schedule, expensive equipment and renovations strain finances, and simple things take longer to do. Some mothers feel responsible for causing their child’s disability or are even blamed for it by their mother-in-law. Show love and compassion and gently ask how the church could help.
Some practical ideas:
- Give parents a day to themselves or the opportunity to listen to a sermon in peace by looking after their disabled child.
- Let families know that their child’s disability was not their fault.
- Consider how you can include people with disabilities when you plan church events or allocate roles. I was very happy to be asked to help with the offering or to act as a greeter.
- Use your smartphone to Skype the sermon to people who physically cannot be present or make a video to send later. Facebook and Youtube both offer free streaming services, so all it takes is a few minutes to set up an account.
- Read about disabilities and learn some differences. For example, just because I’m in a wheelchair doesn’t mean I have no feeling in my legs.
- Try to make it about the person, not the disability. “That’s a cool wheelchair” is an easy icebreaker, but it focuses on my least-liked aspect. You wouldn’t say, “That’s a nice shiny head!” to someone who is bald.
+++
Structure and calculated powder diffractogram of AlFe3N (a structure optimized by DFT (GGA-PBE); Cu Kα).

Top 6 peaks for 2θ = 5–70°, sorted by position:
2θ/deg	Rel. int.	(hkl)
23.93	21	1 0 0
34.10	3	1 1 0
42.10	100	1 1 1
49.00	60	2 0 0
55.25	6	2 1 0
61.05	1	2 1 1

Atomic structure:
```
AlFe3N
1.0
3.718 0.000 0.000
0.000 3.718 0.000
0.000 0.000 3.718
Al Fe N
1 3 1
Direct
0.000 0.000 0.000 Al
0.000 0.500 0.500 Fe
0.500 0.000 0.500 Fe
0.500 0.500 0.000 Fe
0.500 0.500 0.500 N
```

~~~~~

(1)
Starting from a structure optimized by DFT (PBE), the powder X-ray diffraction pattern of Dy3InCu was computed for copper Kα.
Kinematic intensities with the Lorentz-polarization factor, no thermal factor.

Principal peaks in the range 15 to 90 degrees two-theta, in order of rising 2θ:
| 2θ (°) | I/Imax |
| --- | --- |
| 25.05 | 51 |
| 25.45 | 26 |
| 32.26 | 49 |
| 33.85 | 50 |
| 34.02 | 67 |
| 34.16 | 100 |
| 36.40 | 39 |
| 38.63 | 67 |
| 51.75 | 24 |
| 56.41 | 24 |

```
Dy3InCu
1.0
6.441 -5.610 0.000
6.441 5.610 0.000
0.000 0.000 7.687
Dy In Cu
12 4 4
Cartesian
4.662 3.836 3.117
6.441 4.791 6.084
4.662 1.775 6.960
8.220 3.836 3.117
6.441 0.820 2.241
8.220 1.775 6.960
4.662 -1.775 0.727
6.441 -0.820 5.446
4.662 -3.836 4.570
8.220 -1.775 0.727
6.441 -4.791 1.603
8.220 -3.836 4.570
3.220 0.915 1.922
3.220 -0.915 5.765
9.661 0.915 1.922
9.661 -0.915 5.765
6.441 3.441 0.897
6.441 2.170 4.740
6.441 -2.170 2.947
6.441 -3.441 6.791
```

(2)
Starting from a structure optimized by DFT (PBE), the powder X-ray diffraction pattern of Ac12Tl6N was computed for copper Kα.
Kinematic intensities with the Lorentz-polarization factor, no thermal factor.

Principal peaks in the range 15 to 90 degrees two-theta, in order of rising 2θ:
| 2θ (°) | I/Imax |
| --- | --- |
| 25.63 | 58 |
| 27.00 | 26 |
| 28.79 | 98 |
| 30.73 | 33 |
| 32.10 | 21 |
| 32.78 | 100 |
| 37.16 | 17 |
| 52.52 | 21 |
| 57.81 | 18 |
| 61.96 | 16 |

```
Ac12Tl6N
1.0
6.606 3.814 4.865
-6.606 3.814 4.865
0.000 -7.627 4.865
Ac Tl N
12 6 1
Cartesian
-5.800 -1.621 8.039
-1.496 -5.834 6.555
-1.429 -1.678 5.713
-4.304 4.212 6.555
-0.739 2.076 5.713
-2.167 0.399 8.880
2.167 -0.399 5.713
0.739 -2.076 8.880
4.304 -4.212 8.039
1.429 1.678 8.880
1.496 5.834 8.039
5.800 1.621 6.555
-4.039 0.705 6.088
-2.630 -3.145 8.505
1.409 -3.850 6.088
-1.409 3.850 8.505
2.630 3.145 6.088
4.039 -0.705 8.505
0.000 0.000 7.297
```

(3)
Starting from a structure optimized by DFT (PBE), the powder X-ray diffraction pattern of Rb2Al2Si3O10 was computed for copper Kα.
Kinematic intensities with the Lorentz-polarization factor, no thermal factor.

Principal peaks in the range 15 to 90 degrees two-theta, in order of rising 2θ:
| 2θ (°) | I/Imax |
| --- | --- |
| 19.96 | 40 |
| 21.02 | 34 |
| 22.01 | 42 |
| 24.51 | 31 |
| 27.33 | 82 |
| 28.63 | 48 |
| 28.88 | 100 |
| 30.37 | 31 |
| 30.86 | 77 |
| 31.80 | 40 |

```
Rb2Al2Si3O10
1.0
0.000 9.606 3.297
8.900 0.000 3.297
8.900 9.606 0.000
Rb Al Si O
4 4 6 20
Cartesian
5.051 1.126 1.648
9.501 3.677 3.297
+++
In my hometown, my family’s chiropractor had a step at the door, followed by a small porch with another door. They built a wooden ramp up the step to the door for me, but it had to be lugged out from a closet each time. When I asked why they didn’t leave it out, they explained that they didn’t have many disabled people come. My mom tried to convince them that there were likely many people with disabilities who would like to come but see a step and give up, since it looked inaccessible. It’s the chicken-and-egg dilemma.
Recently, an anti-discrimination law was enacted in Japan to promote access for those with disabilities. While not strict like the Americans with Disabilities Act, it does encourage public places to accommodate “within reason”.
Churches likely have tighter budgets restrictions than other public places, but my encouragement is to do what you can, go above “within reason” when possible, to be a light to the community.
Suggestions to make churches accessible to all:
- If you have an accessible entrance that is not obvious, add a sign with a phone number for someone to call if they need assistance.
- If you cannot afford to renovate, send an email to the missionary community via JEMA asking for a Christian carpenter to volunteer to build a ramp.
- If you cannot build an accessible washroom, at the very least know where the nearest one is (almost all parks and train stations have them) and offer to show a first-time attender.
- When renovating or considering a new location, get the opinions of disabled people. (I’ve been left out of accessibility planning before and the renovated toilet wasn’t accessible in the end!)
- If your church is completely inaccessible, and it is out of your control to adapt it (e.g. you are renting a place), have a list of nearby accessible churches ready so you could easily introduce a person to another church if they ask.
Remember, accessibility benefits everyone—elevators were first installed for the disabled but also benefit many others. Consider it an investment for yourself a few years down the road.
The list of possibilities for improving access is endless. But most importantly, ask someone with a disability.
I remember reading the words of a priest who lamented the slow move to accessibility at churches in the US back when the Americans with Disabilities Act came into effect. He said it would be our greatest shame when places like taverns and shopping malls are accessible but our churches are not. Instead, let us inspire the community by how far out of the way we go to be leaders in accessibility rather than reluctant followers.
1. Cabinet Office, Government of Japan., accessed Jan 11 2017.
2. “Employment Measures for Persons with Disabilities in Japan” by Ryosuke Matsui. Asia-Pacific Human Rights Information Centre, accessed February 23, 2017.